[Work order]
Say how many lines of the rows underneath hold the word "most", as a bare number.

[Data]
<<<
The following is a theoretical PXRD pattern of Tl2VAgF6. It was derived from a DFT-relaxed cell (GGA+U, Alexandria), using copper Kα.

Most intense lines, 2θ = 10–90°, by intensity:
hkl	2θ (°)	intensity
1 2 1	28.5	1000
2 0 2	40.8	300
0 4 2	50.3	297
0 0 2	28.4	248
2 0 0	28.8	246
3 2 1	50.8	199
2 4 2	58.9	192
0 4 0	40.6	159

Crystal structure
```
20
Lattice="6.2074 0.0000 0.0000 0.0000 8.8935 0.0000 0.0000 0.0000 6.2920" Properties=species:S:1:pos:R:3 pbc="T T T"
Tl 1.5518 0.0106 1.4979
Tl 1.5518 4.4361 1.4979
Tl 4.6555 4.4574 4.7941
Tl 4.6555 8.8829 4.7941
V 1.5518 6.6701 4.7872
V 4.6555 2.2234 1.5047
Ag 1.5518 2.2234 4.6183
Ag 4.6555 6.6701 1.6736
F 0.1649 6.6701 3.4096
F 0.1667 6.6701 6.1803
F 1.5518 4.6407 4.8460
F 1.5518 8.6995 4.8460
F 2.9388 6.6701 3.4096
F 2.9370 6.6701 6.1803
F 3.2704 2.2234 0.1117
F 3.2686 2.2234 2.8824
F 4.6555 0.1940 1.4460
F 4.6555 4.2528 1.4460
F 6.0407 2.2234 0.1117
F 6.0425 2.2234 2.8824
```

* * * * *

For Fe5SnP6O24, DFT lattice parameters and positions (PBE+U) gives the calculated PXRD pattern in this record (Cu Kα (λ = 1.5418 Å)).
No peak broadening, texture or thermal motion is included.

Peak list (10 most intense, 2θ = 5–70°, low angle first)
- 20.4°, I = 100, hkl 1 1 0
- 20.8°, I = 19, hkl 1 0 4
- 24.2°, I = 82, hkl 1 1 3
- 33.1°, I = 73, hkl 1 1 6
- 35.8°, I = 44, hkl 3 0 0
- 47.5°, I = 30, hkl 1 2 8
- 49.6°, I = 28, hkl 4 -2 6
- 56.0°, I = 26, hkl 4 1 0
- 56.7°, I = 15, hkl 3 1 8
- 62.7°, I = 23, hkl 4 1 6

Structure:
```
data_Fe5SnP6O24
_cell_length_a 8.6863
_cell_length_b 8.6863
_cell_length_c 20.7190
_cell_angle_alpha 90.00
_cell_angle_beta 90.00
_cell_angle_gamma 120.00
_space_group_name_H-M_alt 'R 3'
_space_group_IT_number 146
_space_group_name_Hall 'R 3'
loop_
_atom_site_label
_atom_site_type_symbol
_atom_site_fract_x
_atom_site_fract_y
_atom_site_fract_z
_atom_site_occupancy
Fe1 Fe 0.0000 0.0000 0.0000 1
Fe2 Fe 0.0000 0.0000 0.1395 1
Fe3 Fe 0.0000 0.0000 0.3489 1
Fe4 Fe 0.0000 0.0000 0.4952 1
Fe5 Fe 0.0000 0.0000 0.6420 1
Sn1 Sn 0.0000 0.0000 0.8536 1
P1 P 0.0055 0.7091 0.2443 1
P2 P 0.0367 0.3665 0.4132 1
O1 O 0.0024 0.2067 0.8097 1
O2 O 0.0114 0.8275 0.9218 1
O3 O 0.0152 0.1768 0.4228 1
O4 O 0.0155 0.8110 0.3054 1
O5 O 0.1394 0.6744 0.8500 1
O6 O 0.1458 0.4656 0.3542 1
O7 O 0.1611 0.4843 0.7381 1
O8 O 0.1716 0.6836 0.2346 1
```
>>>

[Here it is]
1